In this world are people of many faiths, many who give God many names.  But, there is one name that will separate the sheep from the goats: YHWH.   Muslims believe Allah is the one. Jews know the God of Abraham is the one.  Christians say Christ is the one. So, who is YHWH?

One of my instructors at the Seminary introduced a theological study with this sentence: “If someone makes a statement about ‘God’ which would not offend a Jew and/or a Muslim, it is not a true statement about God.”  Does that mean Christians have the “right” answer?

The study continues like a connect-the-dots picture, so get your pencil point sharpened so the lines don’t blur.  Translate YHWH to “I AM”.  “I AM” spoke to Abraham.  “I AM” spoke to Moses. But, Jesus Christ identified himself as “I AM”.  Jesus is YHWH/”I AM” so the line between dot (1) – YHWH and dot (2) – Jesus is pretty short.  So short it seems there is only one dot at the top of the page.  That seemed simple enough, but there is a tricky turn in this connect-the-dots picture.

Christ Jesus is the image of “I AM”; this perfect unblemished man is the image of God.  We can say Creator YHWH, creator of Adam, who was created in YHWH image, is Jesus Christ.  Now take your time and look very closely to find dot (3).  It should be on the far lower left of dots (1)(2).  This is Adam who was created specifically in the image of Jesus, who is “I AM”.  Dot (1) is YHWH/”I AM”, dot (2) is Jesus Christ/“I AM”, dot (3) is Adam – the human being created in the image of God – before the fall into sinful disobedience and separation from YHWH.  There is a wonderful, perfectly straight line between YHWH and Adam.  Your picture should look like the side of a triangle.

But now a problem occurs with this connect-the-dot picture.  You see, when Adam – the human created in the image of God – sinned and brought death to all humanity, the result was separation.  Your next step is to erase the line between dot (1)(2) and dot (3).  Adam -humanity- is separated and alone in this picture. You have two dots with nothing but a faint line indicating the disconnection.  Wait!  There is another dot on the page (dot 4) that we can connect to dot (3).  You will find that directly to the right so when you connect, you will have a horizontal line under the YHWH/Jesus Christ/YHWH dot(s).  All humanity since Noah landed the ark are represented with dot (4).  There are a few small dots along this line, for between fallen Adam and all humanity today, there is Moses, Noah, Abraham, and David.  This picture makes no sense.  There are two dots that act as one dot, but are not connected to the other dots.  How can YHWH/”I AM” be re-connected to Adam (dot 3), and thus to all humanity – past and present?

## What comes next are records of crystals, not part of the entry
<<<
No. 1
This record from Alexandria via LeMat-Bulk describes crystalline TaVZnCo at its relaxed geometry. The functional is GGA-PBE.

```
TaVZnCo
1.0
0.000 3.046 3.046
3.046 0.000 3.046
3.046 3.046 0.000
Ta V Zn Co
1 1 1 1
Cartesian
0.000 0.000 0.000 Ta
1.523 1.523 1.523 V
3.046 3.046 3.046 Zn
4.569 4.569 4.569 Co
```

Properties
The calculation puts the final energy at -7.33 eV per atom. As for the space group: F-43m, No. 216.

No. 2
This record from Alexandria via LeMat-Bulk describes crystalline ZrTaVCo at its relaxed geometry. The functional is GGA-PBE.

```
ZrTaVCo
1.0
0.000 3.161 3.161
3.161 0.000 3.161
3.161 3.161 0.000
Zr Ta V Co
1 1 1 1
Cartesian
0.000 0.000 0.000 Zr
3.161 3.161 3.161 Ta
1.581 1.581 1.581 V
4.742 4.742 4.742 Co
```

Properties
The calculation puts the final energy at -9.17 eV per atom. As for the space group: F-43m, No. 216.

No. 3
This record from Alexandria via LeMat-Bulk describes crystalline TaCo2W at its relaxed geometry. The functional is GGA-PBE.

```
TaCo2W
1.0
1.376 0.794 8.783
-1.376 0.794 8.783
0.000 -1.589 8.783
Ta Co W
1 2 1
Cartesian
0.000 0.000 0.000 Ta
0.000 0.000 12.871 Co
0.000 0.000 19.772 Co
0.000 0.000 6.209 W
```

Properties
The calculation puts the final energy at -9.43 eV per atom. As for the space group: R3m, No. 160.

No. 4
This record from Alexandria via LeMat-Bulk describes crystalline Ta2Co9W at its relaxed geometry. The functional is GGA-PBE.

```
Ta2Co9W
1.0
3.623 0.000 0.000
0.000 3.623 0.000
0.000 0.000 10.873
Ta Co W
2 9 1
Cartesian
0.000 0.000 1.811 Ta
0.000 0.000 9.062 Ta
0.000 1.812 0.000 Co
0.000 1.812 3.678 Co
0.000 1.812 7.196 Co
1.812 0.000 0.000 Co
1.812 0.000 3.678 Co
1.812 0.000 7.196 Co
1.812 1.812 1.836 Co
1.812 1.812 5.437 Co
1.812 1.812 9.037 Co
0.000 0.000 5.437 W
```

Properties
The calculation puts the final energy at -8.56 eV per atom. As for the space group: P4/mmm, No. 123.

No. 5
This record from Alexandria via LeMat-Bulk describes crystalline TaCo2W at its relaxed geometry. The functional is GGA-PBE.

```
TaCo2W
1.0
2.735 0.000 0.000
0.000 3.667 0.000
-0.068 0.000 5.448
Ta Co W
1 2 1
Cartesian
0.000 0.000 0.000 Ta
1.351 1.834 1.411 Co
1.317 1.834 4.037 Co
-0.034 0.000 2.724 W
```

Properties
The calculation puts the final energy at -9.78 eV per atom. As for the space group: P2/m, No. 10.

No. 6
This record from Alexandria via LeMat-Bulk describes crystalline TaCo2W at its relaxed geometry. The functional is GGA-PBE.

```
TaCo2W
1.0
-3.322 3.322 2.658
3.322 -3.322 2.658
3.322 3.322 -2.658
Ta Co W
2 4 2
Cartesian
0.000 0.000 0.000 Ta
0.000 3.322 1.329 Ta
1.661 1.737 -0.664 Co
4.907 1.661 0.664 Co
1.661 1.585 1.993 Co
-1.585 1.661 3.322 Co
3.322 0.000 1.329 W
0.000 0.000 2.658 W
```

Properties
The calculation puts the final energy at -9.28 eV per atom. As for the space group: I-42d, No. 122.

No. 7
This record from Alexandria via LeMat-Bulk describes crystalline TaCo2W at its relaxed geometry. The functional is GGA-PBE.

```
TaCo2W
1.0
-1.930 1.930 3.669
>>>
## The records of crystals stop here

Jesus described himself: “I AM the way, the truth, and the life.”   There is one and only one way for humanity to return to perfection and be re-connected. The way is Jesus Christ; the perfect unblemished man who is the image of YHWH.  To once again be in the image of God, and acceptable for connection, we must be re-created by YHWH/”I AM” Jesus Christ.   When the time was right, God/YHWH, sent His Son – Jesus Christ/YHWH – to be the perfect Adam, again.  You now draw a line from dot (1)(2) to dot (3) and also connect dot (4) to dot (1)(2).  I hope your picture is a perfect triangle.

It is pretty simple really.  Without Jesus Christ there is no possibility of recognizing, naming, or knowing God.

Crystal structures from another source follow:
The following is a PBE calculation of a relaxed SiF5 crystal, from Alexandria.

Cell lengths 5.2683, 5.2683, 5.2683 Å; angles 96.72, 96.72, 139.99 degrees
Last column: nearest neighbours and their distance in Å.
Fractional positions:
Si (0.0000, 0.0000, 0.0000)  6 F 1.66-1.80
F (0.0637, 0.7711, 0.8348)  1 Si 1.66
F (0.2289, 0.0637, 0.2926)  1 Si 1.66
F (0.5000, 0.5000, 0.0000)  2 Si 1.80
F (0.7711, 0.9363, 0.7074)  1 Si 1.66
F (0.9363, 0.2289, 0.1652)  1 Si 1.66

Calculated values
calculated volume = 88.3 Å³ per cell
E = -4.906 eV per atom
raw formation energy = -2442 meV/atom
density = 2.31 Mg/m³
DOS at the Fermi energy = 1.52 states/eV/cell
space group = I4/m, No. 87

---

The following is a PBE calculation of a relaxed Si23F3 crystal, from Alexandria.

Cell lengths 10.1148, 10.1148, 10.1148 Å; angles 90.00, 90.00, 90.00 degrees
Last column: nearest neighbours and their distance in Å.
Fractional positions:
Si (0.0000, 0.1147, 0.3125)  4 Si 2.32-2.37
Si (0.0000, 0.1147, 0.6875)  4 Si 2.32-2.37
Si (0.0000, 0.2500, 0.5000)  4 Si 2.34
Si (0.0000, 0.7500, 0.5000)  4 Si 2.34
Si (0.0000, 0.8853, 0.3125)  4 Si 2.32-2.37
Si (0.0000, 0.8853, 0.6875)  4 Si 2.32-2.37
Si (0.1147, 0.3125, 0.0000)  4 Si 2.32-2.37
Si (0.1147, 0.6875, 0.0000)  4 Si 2.32-2.37
Si (0.1827, 0.1827, 0.1827)  4 Si 2.36-2.37
Si (0.1827, 0.1827, 0.8173)  4 Si 2.36-2.37
Si (0.1827, 0.8173, 0.1827)  4 Si 2.36-2.37
Si (0.1827, 0.8173, 0.8173)  4 Si 2.36-2.37
Si (0.1875, 0.3853, 0.5000)  4 Si 2.32-2.37
Si (0.1875, 0.6147, 0.5000)  4 Si 2.32-2.37
Si (0.2500, 0.5000, 0.0000)  4 Si 2.34
Si (0.3125, 0.0000, 0.1147)  4 Si 2.32-2.37
Si (0.3125, 0.0000, 0.8853)  4 Si 2.32-2.37
Si (0.3173, 0.3173, 0.3173)  4 Si 2.36-2.37
Si (0.3173, 0.3173, 0.6827)  4 Si 2.36-2.37
Si (0.3173, 0.6827, 0.3173)  4 Si 2.36-2.37
Si (0.3173, 0.6827, 0.6827)  4 Si 2.36-2.37
Si (0.3853, 0.5000, 0.1875)  4 Si 2.32-2.37
Si (0.3853, 0.5000, 0.8125)  4 Si 2.32-2.37
Si (0.5000, 0.0000, 0.2500)  4 Si 2.34
Si (0.5000, 0.0000, 0.7500)  4 Si 2.34
Si (0.5000, 0.1875, 0.3853)  4 Si 2.32-2.37
Si (0.5000, 0.1875, 0.6147)  4 Si 2.32-2.37
Si (0.5000, 0.8125, 0.3853)  4 Si 2.32-2.37
Si (0.5000, 0.8125, 0.6147)  4 Si 2.32-2.37
Si (0.6147, 0.5000, 0.1875)  4 Si 2.32-2.37
Si (0.6147, 0.5000, 0.8125)  4 Si 2.32-2.37
Si (0.6827, 0.3173, 0.3173)  4 Si 2.36-2.37
Si (0.6827, 0.3173, 0.6827)  4 Si 2.36-2.37
Si (0.6827, 0.6827, 0.3173)  4 Si 2.36-2.37
Si (0.6827, 0.6827, 0.6827)  4 Si 2.36-2.37
Si (0.6875, 0.0000, 0.1147)  4 Si 2.32-2.37
Si (0.6875, 0.0000, 0.8853)  4 Si 2.32-2.37
Si (0.7500, 0.5000, 0.0000)  4 Si 2.34
Si (0.8125, 0.3853, 0.5000)  4 Si 2.32-2.37
Si (0.8125, 0.6147, 0.5000)  4 Si 2.32-2.37
Si (0.8173, 0.1827, 0.1827)  4 Si 2.36-2.37
Si (0.8173, 0.1827, 0.8173)  4 Si 2.36-2.37
Si (0.8173, 0.8173, 0.1827)  4 Si 2.36-2.37
Si (0.8173, 0.8173, 0.8173)  4 Si 2.36-2.37
Si (0.8853, 0.3125, 0.0000)  4 Si 2.32-2.37
Si (0.8853, 0.6875, 0.0000)  4 Si 2.32-2.37
F (0.0000, 0.5000, 0.2500)  20 Si 3.37-3.77

In this world we find people of many faiths, who give God many names but there is only one name with power to knock people off their feet.  I AM.

– Deaconess Liz Borth